........
(1)
{
  "formula": "C28H52P2V",
  "method": "wB97M-V/def2-TZVPD",
  "spin_multiplicity": 3,
  "s2": 2.0351,
  "total_charge": 1,
  "relative_energy_kcal_mol": 0.0,
  "elements": ["V", "P", "P", "C", "C", "C", "C", "C", "C", "C", "C", "C", "C", "C", "C", "C", "C", "C", "C", "C", "C", "C", "C", "C", "C", "C", "C", "C", "C", "C", "C", "H", "H", "H", "H", "H", "H", "H", "H", "H", "H", "H", "H", "H", "H", "H", "H", "H", "H", "H", "H", "H", "H", "H", "H", "H", "H", "H", "H", "H", "H", "H", "H", "H", "H", "H", "H", "H", "H", "H", "H", "H", "H", "H", "H", "H", "H", "H", "H", "H", "H", "H", "H"],
  "xyz": [[0.140, -0.317, 1.527], [-1.048, -0.227, -0.551], [1.944, 0.972, 0.283], [-0.800, -1.570, -5.193], [0.560, 1.920, -4.640], [1.356, -0.439, -4.218], [2.911, 2.254, 1.139], [3.098, -1.359, 2.567], [0.820, -2.331, 1.759], [1.402, -3.291, 0.777], [1.607, -1.461, 2.585], [1.459, 0.891, -4.027], [-0.637, -1.822, -1.346], [3.151, 0.030, -0.707], [-0.219, 1.108, -1.540], [-1.770, -1.144, 4.192], [-1.450, 2.567, 4.432], [-0.594, -1.326, 3.300], [0.735, -0.843, 3.537], [-1.613, -0.817, -4.188], [-2.967, 1.665, 2.592], [0.654, -1.063, -5.393], [-0.900, 1.488, -4.950], [0.960, 1.904, -0.976], [-0.552, -2.226, 2.179], [1.158, 0.071, 4.633], [-1.598, 0.522, -4.044], [-1.677, 2.410, 2.924], [-2.820, 0.078, -0.791], [-1.729, -2.987, 1.666], [-0.471, 1.802, 2.190], [0.470, 2.186, 2.626], [2.698, -0.864, -1.151], [-1.291, -1.541, -6.187], [1.964, -4.080, 1.305], [-2.563, -2.313, 1.409], [0.535, 2.806, -3.983], [-2.285, 0.997, -3.333], [3.545, 0.664, -1.509], [2.215, 0.337, 4.521], [3.510, -1.871, 1.692], [-1.498, 2.413, -4.893], [3.981, -0.287, -0.062], [-0.551, 2.088, 1.127], [-2.099, -3.688, 2.428], [3.399, 1.811, 2.017], [2.255, 3.067, 1.479], [1.020, -0.404, 5.614], [3.674, 2.659, 0.460], [-3.804, 2.023, 3.208], [-1.609, -1.647, 5.164], [-3.373, -0.603, -0.134], [3.519, -1.827, 3.469], [0.106, 0.534, -2.410], [2.114, -2.787, 0.109], [2.313, 1.303, -3.476], [-0.994, 1.800, -1.899], [-3.235, 1.800, 1.539], [1.654, 2.169, -1.789], [0.987, 2.271, -5.596], [-1.952, -0.087, 4.416], [0.400, -2.115, -1.142], [-1.793, 3.440, 2.528], [1.254, -1.945, -5.672], [-2.248, 3.180, 4.874], [1.941, -1.146, -3.613], [-3.123, -0.098, -1.828], [-0.494, 3.069, 4.630], [0.665, -0.379, -6.255], [-2.682, -1.560, 3.748], [-2.861, 0.586, 2.770], [3.432, -0.313, 2.551], [-0.949, 1.138, -5.992], [-1.464, -3.571, 0.779], [0.585, 1.002, 4.621], [0.625, -3.782, 0.184], [0.612, 2.848, -0.524], [-0.757, -1.786, -2.434], [-0.765, -2.639, -4.913], [-2.366, -1.430, -3.683], [-1.456, 1.604, 4.960], [-1.308, -2.600, -0.955], [-3.064, 1.112, -0.513]]
}

(2)
{
  "formula": "C2H2ClN",
  "method": "wB97M-V/def2-TZVPD",
  "total_charge": 0,
  "relative_energy_kcal_mol": 72.8,
  "elements": ["Cl", "N", "C", "C", "H", "H"],
  "xyz": [[2.371, 0.144, -0.124], [0.784, -0.710, 0.254], [-0.319, -0.012, 0.122], [-1.183, 0.800, 0.110], [-2.222, 1.127, 0.175], [0.570, -1.349, -0.536]]
}

(3)
{
  "formula": "C5H8N",
  "method": "wB97M-V/def2-TZVPD",
  "total_charge": 1,
  "relative_energy_kcal_mol": 92.1,
  "elements": ["N", "C", "C", "C", "C", "C", "H", "H", "H", "H", "H", "H", "H", "H"],
  "xyz": [[-0.059, 0.335, -0.023], [-2.530, -0.696, 0.005], [2.773, 0.082, 0.006], [-0.894, 1.467, 0.007], [-1.481, 0.287, -0.009], [1.126, -0.229, -0.023], [-3.496, -0.213, 0.134], [-0.835, 2.529, 0.029], [-2.535, -1.259, -0.931], [3.021, 0.772, -0.793], [-2.361, -1.407, 0.816], [1.023, -1.312, -0.059], [3.237, -0.881, -0.126], [3.012, 0.525, 0.967]]
}

(4)
{
  "formula": "C33H46As3ClIN6O5STi",
  "method": "wB97M-V/def2-TZVPD",
  "spin_multiplicity": 3,
  "s2": 2.0256,
  "total_charge": -1,
  "relative_energy_kcal_mol": 18.0,
........

Restate only the last part of the calculation results further up, starting with the line that has "C2H2ClN", please.

  "formula": "C2H2ClN",
  "method": "wB97M-V/def2-TZVPD",
  "total_charge": 0,
  "relative_energy_kcal_mol": 72.8,
  "elements": ["Cl", "N", "C", "C", "H", "H"],
  "xyz": [[2.371, 0.144, -0.124], [0.784, -0.710, 0.254], [-0.319, -0.012, 0.122], [-1.183, 0.800, 0.110], [-2.222, 1.127, 0.175], [0.570, -1.349, -0.536]]
}

(3)
{
  "formula": "C5H8N",
  "method": "wB97M-V/def2-TZVPD",
  "total_charge": 1,
  "relative_energy_kcal_mol": 92.1,
  "elements": ["N", "C", "C", "C", "C", "C", "H", "H", "H", "H", "H", "H", "H", "H"],
  "xyz": [[-0.059, 0.335, -0.023], [-2.530, -0.696, 0.005], [2.773, 0.082, 0.006], [-0.894, 1.467, 0.007], [-1.481, 0.287, -0.009], [1.126, -0.229, -0.023], [-3.496, -0.213, 0.134], [-0.835, 2.529, 0.029], [-2.535, -1.259, -0.931], [3.021, 0.772, -0.793], [-2.361, -1.407, 0.816], [1.023, -1.312, -0.059], [3.237, -0.881, -0.126], [3.012, 0.525, 0.967]]
}

(4)
{
  "formula": "C33H46As3ClIN6O5STi",
  "method": "wB97M-V/def2-TZVPD",
  "spin_multiplicity": 3,
  "s2": 2.0256,
  "total_charge": -1,
  "relative_energy_kcal_mol": 18.0,